Recent data from New York appears to contradict the widespread proclamations that the answer to beating coronavirus is self-isolating and staying at home.
According to New York Governor Andrew Cuomo, two-thirds (66%) of patients recently hospitalized for coronavirus had self-isolated at home.
The stats were provided to state officials by 113 hospitals.
Although Cuomo says he found the numbers “shocking,” numerous immunologists and other scientists have questioned whether staying at home is the right tact. They point to numerous reasons why they say self-isolating in the home could make matters worse.
Two doctors recently gave a talk saying it is “Immunology 101” that people with healthy immune systems should not isolate themselves from germs– coronavirus included. They say the exposure is needed for people to develop health antibodies and immune systems. After the video went viral, YouTube pulled it down.
There is no immediate answer as to why so many of New York’s patients came from homes where they reported having followed recommendations to isolate.
“This is a surprise,” the governor told reporters at the Feinstein Institutes for Medical Research in Manhasset, New York. “Sixty-six percent of the people were at home, which is shocking to us.”
Andrew Cuomo, N.Y. Governor
According to New York State data, about 18% of hospitalized coronavirus patients came from nursing homes, 4% from assisted-living facilities, 2% were homeless, and 66% came from isolation in their own homes.
“They’re not working; they’re not traveling,” Cuomo said. “We were thinking that maybe we were going to find a higher percent of essential employees who were getting sick because they were going to work, that these may be nurses, doctors, transit workers: that’s not the case. They were predominantly at home.”
Read more here:
I do not know what this proves one way or the other. Just because someone sheltered in place what did that mean exactly? Did the person have visitors? How old were they? What comorbidities did they have? You don’t get Covid 19 from the Covid fairy. I understand the point which is gaining more and more traction as people are frustrated the longer this shelter in place thing stays in place.
The truth is evidently the virus doesn’t care whether you shelter in place or not. It also doesn’t care if your right wing or left wing. I see the human reaction is quite clown car-esque. Its interesting how we all wont leave our respective camps. The left looks at it their way and the right look at it theirs.
I believe were incapable of truly being united, well until we see something that leaves you no choice.
Keep defending the lockdown despite the fact that it didn’t work, and flattening the curve turned out to be unnecessary. There is no fact that can’t be explained away.
I was incredulous that you spoke somewhat favorably about the video done by a quack “scientist” Very disappointed.
Which study? Atkisson says “data cited”-
here is the article- the part about stay-at-home infections is addressed here-
-- Crystal structures, kept here for reference --
Starting from a cell relaxed with PBE+U, the X-ray diffraction stick pattern of Na4WO5 was calculated for Cu Kα (λ = 1.5418 Å).
Intensities are scaled so that the largest is 100.

Peak list (8 most intense, 2θ from 15° to 90°, most intense first)
2θ 16.47, I = 100, hkl 0 1 0
2θ 17.13, I = 39, hkl 1 0 0
2θ 38.54, I = 32, hkl -1 1 3
2θ 38.25, I = 29, hkl 1 -2 2
2θ 39.40, I = 27, hkl 2 1 -1
2θ 19.89, I = 26, hkl 1 -1 0
2θ 56.58, I = 24, hkl 1 2 2
2θ 22.87, I = 21, hkl 0 0 2

Atomic structure:
a b c (Å): 5.7388 5.7716 8.6036
angles (deg): 101.54 109.08 102.29
Space group P-1 (No. 2)
Inequivalent atoms, fractional coordinates:
Na1 0.0000 0.0000 0.0000 (multiplicity 1)
Na2 0.0000 0.5000 0.5000 (multiplicity 1)
Na3 0.1923 0.4873 0.9026 (multiplicity 2)
Na4 0.1975 0.0030 0.3978 (multiplicity 2)
Na5 0.3803 0.4940 0.2939 (multiplicity 2)
W1 0.3988 0.9964 0.7949 (multiplicity 2)
O1 0.0638 0.7778 0.7582 (multiplicity 2)
O2 0.2408 0.2087 0.6853 (multiplicity 2)
O3 0.2597 0.7855 0.1559 (multiplicity 2)
O4 0.4086 0.7784 0.6002 (multiplicity 2)
O5 0.4226 0.1910 0.0366 (multiplicity 2)

***

Starting from a cell relaxed with PBE+U, the X-ray diffraction stick pattern of Na5W6O18 was calculated for Cu Kα (λ = 1.5418 Å).
Intensities are scaled so that the largest is 100.

Peak list (8 most intense, 2θ from 15° to 90°, most intense first)
2θ 32.03, I = 100, hkl 2 2 3
2θ 22.43, I = 91, hkl 0 2 3
2θ 22.57, I = 45, hkl 2 0 0
2θ 51.64, I = 29, hkl 0 6 3
2θ 45.77, I = 27, hkl 0 4 6
2θ 57.09, I = 24, hkl 4 0 6
2θ 31.81, I = 20, hkl 0 0 6
2θ 66.98, I = 20, hkl 0 8 0

Atomic structure:
a b c (Å): 7.8788 11.1751 16.8779
angles (deg): 90.00 90.00 90.00
Space group Cmcm (No. 63)
Inequivalent atoms, fractional coordinates:
Na1 0.0000 0.1254 0.0837 (multiplicity 8)
Na2 0.0000 0.1250 0.7500 (multiplicity 4)
Na3 0.0000 0.3753 0.5838 (multiplicity 8)
W1 0.2488 0.3750 0.0849 (multiplicity 16)
W2 0.2500 0.1248 0.2500 (multiplicity 8)
O1 0.0000 0.1223 0.2500 (multiplicity 4)
O2 0.0000 0.1250 0.5835 (multiplicity 8)
O3 0.0000 0.3723 0.7500 (multiplicity 4)
O4 0.0000 0.3750 0.0818 (multiplicity 8)
O5 0.2473 0.9995 0.1642 (multiplicity 16)
O6 0.2473 0.2494 0.6641 (multiplicity 16)
O7 0.2503 0.0000 0.0000 (multiplicity 8)
O8 0.2500 0.2500 0.0000 (multiplicity 8)

----------

PmHo2ScIn4: theoretical powder X-ray diffraction pattern (Cu Kα (weighted mean of Kα1 and Kα2)), based on a crystal structure in Alexandria, relaxed with PBE.
No peak broadening, texture or thermal motion is included.

Crystal structure
Lattice parameters (Å, degrees): 9.1725 9.1725 9.1725 33.36 33.36 33.36
Fractional positions:
Pm: 0.0000 0.0000 0.0000
Ho: 0.2489 0.2489 0.2489
Ho: 0.7511 0.7511 0.7511
Sc: 0.5000 0.5000 0.5000
In: 0.1276 0.1276 0.1276
In: 0.3780 0.3780 0.3780
In: 0.6220 0.6220 0.6220
In: 0.8724 0.8724 0.8724

Main lines, by angle (5 to 70 degrees two-theta):
2θ (°), d_spacing, intensity
10.22, 8.654, 3
19.77, 4.492, 4
20.64, 4.303, 6
26.00, 3.426, 4
33.90, 2.644, 100
34.05, 2.633, 100
40.11, 2.248, 4
-- Back to the text --
or are you referring to the banned youtube?
Not sure why this has to be a left or right wing view. It’s only shocking cause most of experts recommend staying home but there is evidence in herd immunity as well. Keep those sheltered that have co-morbidities but otherwise shud be treated like any other contagious virus. Practice good hygiene and stay home if sick.
The virus…..much like an evil Santa Claus…..spirits itself down your chimney while you’re asleep……you wake up in the morning and BAM!!!!!! he fat jolly old guy gave you the bug?
When’s the movie comin’ out?
Are you referring to the two Kern CA area ER docs who posted their own results with patients?
Im sure everyone of them who is not lying had to leave the house to buy food and were exposed in the grocery store.
Thank you Ms. Attkisson for your reporting, I try to watch your Sunday show when I can. It is the best of “mainstream” reporting, though I’m not sure that;’s much of a compliment.